The last chapter of Saroo Brierley's life is perhaps the only portion that the general public aren't yet privy to. After all, the first 31 years went out for public consumption when he penned his tell-all memoir A Long Way Home in 2013, and when British actor Dev Patel took his story not only to the big screen, but to the Academy Awards, too.
But what of everything that came after the happy ending? Well, that thirst to know what has become of Brierley – the Indian child who got lost so far from home that he wound up rehoused in Tasmania, only to go in search of his real mother two decades later with only a faint memory and Google Earth as guidance – can now be satiated. "I'm writing another book," he tells The National. "It will be the sequel, and Mum's writing the prequel."
The sentence is rattled off, just like that, as if each of its components aren’t huge, lifelong achievements for most people. Oh, and there’s one more thing: his story is also being developed into a stage show.
Brierley, now 37, is in the capital this week for the Abu Dhabi International Book Fair, alongside other renowned authors flocking in from across the globe, such as Ben Okri and Ziauddin Yousafzai, the father of Nobel Prize laureate Malala Yousafzai. The guest of honour this year is India, which is particularly poignant for Brierley. The impending additions to his oeuvre have not yet been officially announced, so he is understandably coy with the finer details.
What he is certain of, however, is how his story will end. “It will finish off with finding my father. I know where he is, but I just haven’t had the strength to finalise that point. It’s an individual thing that you do by yourself, there’s a lot of soul searching.”
This sequel seems eerily similar to a journey he took the world on just a few years earlier; a delayed echo of his first grand trip from India to Australia to trace his heritage. You probably know Brierley's story – Dev Patel almost won an Oscar for it. Nicole Kidman played his mother. It shot Sunny Pawar (a young boy from a Mumbai slum, who played young Saroo) to fame.
Lion, the film adaptation of Brierley's memoir, was released in 2016 to critical acclaim and garnered six Oscar nominations. It sent the already well-known story into the stratosphere.
Brierley was born Sheru Munshi Khan in Ganesh Talai, a suburb in the town of Khandwa in India's Madhya Pradesh province. His father left when he and his three siblings were young, throwing the family into bitter poverty and leaving his mother to work for long stretches of time at a construction site to provide for the family. When even her meagre salary wasn't enough, the children took to begging at railway stations. When he was five, Brierley followed his brother Guddu on the train to the city of Burhanpur, 70 kilometres away. At the station, Brierley was under strict instruction to stay put and await his brother's return. But Guddu never returned, and when Brierley went off in search of him, he ended up falling asleep on a train that inadvertently sped him 1,500 kilometres across unfamiliar countryside to Kolkata. Unbeknown to him, Guddu had been hit and killed by an oncoming train.
Being unable to communicate his plight with anyone in Bengali-speaking Kolkata, Brierley survived on the street until he was reported to local police as a lost child and eventually placed in the Indian Society for Sponsorship and Adoption. It was there that he was adopted by Sue and John Brierley from Hobart, in Australia’s southern island of Tasmania. Thus began his new life, in which Sheru became Saroo (a mispronunciation of his given name).
Brierley has always spoken fondly about the years he spent growing up in Australia, learning English and going on to study business and hospitality – though his former life was never far from his thoughts and he became infatuated with searching satellite images on Google Earth, spending hours at a time painstakingly scouring railway lines across the country, with only faint memories as guidance.
Those vague recollections, of a fountain near the train tracks and a water tower, helped him finally chance upon his home during his online quest. The last pages of Brierley's story detail his solo journey back to Khandwa in 2012, where locals lead him through the streets to his mother and surviving brother and sister.
The emotional reunion was feasted upon by international media (and later conveyed via Patel as the film's emotional crescendo) and was followed by an invitation from several publishing houses to write a book. A Long Way Home came out the following year. "The only thing at that point that I'd really written was an essay, and I'd read street signs and Cosmopolitan – and text messages, don't forget them," he says with a laugh. "But I thought, why not? At the end of the day, you'll learn, you'll practise and you'll improve."
Patel's turn as Brierley in Lion came next. Though good PR protocol probably dictates a story subject be complimentary of the actor portraying them (at least on the pre-release junket circuit), Brierley's praise for Patel has always seemed genuine. He has genuinely gushed over the British actor in interviews about the movie throughout the years. A picture of the three beaming Saroos – Patel, Brierley and Pawar – seemed to prove Brierley's story had really come full circle.
For Google Earth, it was also something of a marketing jackpot. Here was a man extolling the virtues of their software without a nudge, in a viral story that simply couldn’t be scripted. Understandably, the platform did go on to take full advantage of the unintentional, yet wholly welcome, publicity: you’ll now find Brierley’s face and story plastered across various advertisements, interactive stories and videos on the platform.
But even as the glitz and the glamour fell away in the wake of the movie's release and after-parties, the glitter hasn't yet dimmed for Brierley. His post-Lion years have been full of engagements on the motivational and corporate speaking circuit. He revisits his home frequently, and keeps in regular contact with his biological mother. He bought her a house and topped up her bank account. But it is Australia that remains his base. "There hasn't really been a coming down," he says. "It does get tiring, though. I've had my bag packed for five years and been living out of a suitcase for that long, but don't get me wrong, I love what I do and I love the destinations I get to go to."
In 2017, that meant 150 flights to various locations, 90 in 2018 and a planned 60 for 2019. And indeed, it's hard not to speak to Brierley and have him rehash the same things he has done in four years of interviews – was his story really as it was on screen? What did they miss? What's Dev Patel like? So we don't, but as it turns out, he doesn't really mind. "I enjoy it because when you talk about it, it really lifts the spirits of people because we can be so constrained in the world we live in. When people hear a story like this, it really lifts the human spirit.
"The best reaction I had was in Salt Lake City. A person stood up and said, 'This isn't a question, but this is a commendation for you and what you have done in writing a book and showing the world how you can see it in different ways'. That was so gratifying, because you never get that."
This will be Brierley’s second time in the UAE, after taking part in the Emirates Airline Festival of Literature in 2018. “I’m really looking forward to it and honoured to be invited,” he says.
He’ll probably be discussing his new book, though, he still “can’t say too much”.
“It will be everything after 2017 – and it’s going to go into the mechanics of the story more. We’ll go really in depth into certain things.”
Expect the same from the prequel, being penned by his Australian mother Sue, about the earlier years. So does that mean we could be looking at at least one more impending film; another Oscar contender? Another star turn for Patel? “I can’t say,” he laughs, but follows with: “Maybe.”
But even if it doesn’t, Brierley seems content with sharing that incredible journey from Australia to India, all those years ago, for the time being. “I’m still riding it. I think I’ve got another 15 years in me, and then hopefully I’ll be out of it and I’ll start living a normal life.”
+++
Material: SrCeMg6
Method: DFT, PBE
State: relaxed

Lattice parameters (Å, degrees): 6.813 6.813 5.436 90.00 90.00 117.45
Fractional positions:
Sr 0.655 0.345 0.500
Mg 0.159 0.334 0.500
Mg 0.842 0.673 0.000
Mg 0.327 0.158 0.000
Mg 0.666 0.841 0.500
Mg 0.341 0.659 0.000
Mg 0.161 0.839 0.500
Ce 0.849 0.151 0.000

Output
As for the total energy: -16.26 eV for the cell shown. For the magnetic moment, the calculation gives 1.43 μB/f.u. For the formation energy, the calculation gives 120 meV/atom. The value obtained for the excess energy over the best structure of this formula in the dataset is 0.0 kJ per mole of atoms. Its symmetry is Amm2 (38).



Material: Ba4PrYCu6O14
Method: DFT, PBE
State: relaxed

Lattice parameters (Å, degrees): 12.494 12.494 3.950 90.00 90.00 143.90
Fractional positions:
Pr 0.500 0.500 0.500
Cu 0.322 0.172 0.000
Cu 0.500 0.000 0.000
Cu 0.828 0.678 0.000
Cu 0.172 0.322 0.000
Cu 0.000 0.500 0.000
Cu 0.678 0.828 0.000
Y 0.000 0.000 0.500
O 0.940 0.060 0.000
O 0.500 0.000 0.500
O 0.000 0.500 0.500
O 0.421 0.079 0.000
O 0.822 0.696 0.500
O 0.921 0.579 0.000
O 0.060 0.940 0.000
O 0.079 0.421 0.000
O 0.435 0.565 0.000
O 0.696 0.822 0.500
O 0.304 0.178 0.500
O 0.178 0.304 0.500
O 0.565 0.435 0.000
O 0.579 0.921 0.000
Ba 0.340 0.660 0.500
Ba 0.840 0.160 0.500
Ba 0.660 0.340 0.500
Ba 0.160 0.840 0.500

Output
As for the total energy: -159.60 eV for the cell shown. For the magnetic moment, the calculation gives 0.01 μB/f.u. For the formation energy, the calculation gives -2170 meV/atom. The value obtained for the excess energy over the best structure of this formula in the dataset is 0.0 kJ per mole of atoms. Its symmetry is Cmmm (65).



Material: Ba2Sc2O5
Method: DFT, PBE
State: relaxed

Lattice parameters (Å, degrees): 5.991 6.134 16.532 90.00 90.00 90.00
Fractional positions:
O 0.007 0.046 0.638
O 0.359 0.154 0.250
O 0.748 0.248 0.007
O 0.141 0.654 0.750
O 0.007 0.046 0.862
O 0.993 0.954 0.362
O 0.752 0.748 0.993
O 0.252 0.752 0.993
O 0.641 0.846 0.750
O 0.507 0.454 0.862
O 0.248 0.252 0.493
O 0.752 0.748 0.507
O 0.748 0.248 0.493
O 0.493 0.546 0.362
O 0.252 0.752 0.507
O 0.993 0.954 0.138
O 0.248 0.252 0.007
O 0.493 0.546 0.138
O 0.507 0.454 0.638
O 0.859 0.346 0.250
Sc 0.500 0.500 0.500
Sc 0.037 0.071 0.250
Sc 0.500 0.500 0.000
Sc 0.463 0.571 0.750
Sc 0.000 0.000 0.500
Sc 0.963 0.929 0.750
Sc 0.537 0.429 0.250
Sc 0.000 0.000 0.000
Ba 0.495 0.016 0.609
Ba 0.005 0.516 0.391
Ba 0.505 0.984 0.391
Ba 0.005 0.516 0.109
Ba 0.995 0.484 0.891
Ba 0.995 0.484 0.609
Ba 0.495 0.016 0.891
Ba 0.505 0.984 0.109

Output
As for the total energy: -277.25 eV for the cell shown. For the formation energy, the calculation gives -3500 meV/atom. Its symmetry is Pnma (62).

=====

A plane-wave DFT calculation with GGA+U was carried out for a geometry-optimized MgMo2Cl8O2 structure.

Summary:
+++
So does that final full stop come with finding his father? Probably, Brierley says, but you’ll just have to wait for the book (and / or film) to see how that goes.